********
1.
Computed, not measured: crystalline KOsPd3 at its relaxed geometry at the PBE-GGA level of DFT.

abc: 4.808 4.808 4.808
angles: 90.00 90.00 90.00
Site moments in Bohr magnetons follow the coordinates.
Positions (direct):
K1 0.000 0.000 0.000  -0.01
Os1 0.500 0.500 0.500  2.70
Pd1 0.000 0.500 0.000  0.13
Pd2 0.000 0.000 0.500  0.10
Pd3 0.500 0.000 0.000  0.30

DFT total energy in eV/atom: -3.35
Relative energy among the computed polymorphs in eV/atom: 1.401
D(E_F) in states/eV/atom: 1.14

2.
Computed, not measured: crystalline KOsPd3 at its relaxed geometry at the PBE-GGA level of DFT.

abc: 4.930 4.930 4.930
angles: 90.00 90.00 90.00
Positions (direct):
K1 0.500 0.500 0.500
Os1 0.000 0.000 0.000
Pd1 0.000 0.500 0.000
Pd2 0.000 0.000 0.500
Pd3 0.500 0.000 0.000

DFT total energy in eV/atom: -4.75
Relative energy among the computed polymorphs in eV/atom: 0.000
D(E_F) in states/eV/atom: 1.26

3.
Computed, not measured: crystalline K2OsPd at its relaxed geometry at the PBE-GGA level of DFT.

abc: 11.951 11.951 8.789
angles: 47.17 47.17 90.00
Site moments in Bohr magnetons follow the coordinates.
Positions (direct):
K1 0.451 0.125 0.250  0.00
K2 0.299 0.625 0.250  0.00
K3 0.375 0.549 0.750  0.00
K4 0.875 0.701 0.750  0.00
Os1 0.000 0.000 0.000  1.39
Os2 0.750 0.250 0.500  1.39
Pd1 0.500 0.500 0.000  0.14
Pd2 0.250 0.750 0.500  0.14

DFT total energy in eV/atom: -3.49
Relative energy among the computed polymorphs in eV/atom: 0.000
D(E_F) in states/eV/atom: 1.07

4.
Computed, not measured: crystalline KOs3Pd at its relaxed geometry at the PBE-GGA level of DFT.

abc: 4.920 4.920 4.920
angles: 90.00 90.00 90.00
Site moments in Bohr magnetons follow the coordinates.
Positions (direct):
K1 0.500 0.500 0.500  0.00
Os1 0.000 0.500 0.000  2.05
Os2 0.000 0.000 0.500  2.50
Os3 0.500 0.000 0.000  1.39
Pd1 0.000 0.000 0.000  0.56

DFT total energy in eV/atom: -5.45
Relative energy among the computed polymorphs in eV/atom: 0.000
D(E_F) in states/eV/atom: 1.58

5.
Computed, not measured: crystalline K2Os2Pd at its relaxed geometry at the PBE-GGA level of DFT.

abc: 3.891 3.891 8.002
angles: 75.93 75.93 90.00
Site moments in Bohr magnetons follow the coordinates.
Positions (direct):
K1 0.750 0.250 0.500  0.08
K2 0.250 0.750 0.500  0.08
Os1 0.424 0.424 0.151  1.56
Os2 0.576 0.576 0.849  1.56
Pd1 0.000 0.000 0.000  0.16

DFT total energy in eV/atom: -4.07
Relative energy among the computed polymorphs in eV/atom: 0.937
D(E_F) in states/eV/atom: 0.82

6.
Computed, not measured: crystalline KOs3Pd at its relaxed geometry at the PBE-GGA level of DFT.

abc: 4.526 4.526 4.526
angles: 90.00 90.00 90.00
Site moments in Bohr magnetons follow the coordinates.
Positions (direct):
K1 0.000 0.000 0.000  0.00
Os1 0.000 0.500 0.000  0.59
Os2 0.000 0.000 0.500  0.45
Os3 0.500 0.000 0.000  0.70
Pd1 0.500 0.500 0.500  0.24

DFT total energy in eV/atom: -4.16
Relative energy among the computed polymorphs in eV/atom: 1.291
D(E_F) in states/eV/atom: 1.64

7.
Computed, not measured: crystalline KOsPd2 at its relaxed geometry at the PBE-GGA level of DFT.

abc: 5.416 5.416 8.948
angles: 72.38 72.38 90.00
Positions (direct):
K1 0.500 0.500 0.000
K2 0.250 0.750 0.500
Os1 0.000 0.000 0.000
Os2 0.750 0.250 0.500
Pd1 0.867 0.125 0.250
Pd2 0.883 0.625 0.250
Pd3 0.375 0.133 0.750
Pd4 0.875 0.117 0.750

DFT total energy in eV/atom: -4.72
Relative energy among the computed polymorphs in eV/atom: 0.000
D(E_F) in states/eV/atom: 1.11

8.
Computed, not measured: crystalline KOsPd2 at its relaxed geometry at the PBE-GGA level of DFT.

abc: 4.707 4.707 4.707
angles: 60.00 60.00 60.00
Site moments in Bohr magnetons follow the coordinates.
Positions (direct):
K1 0.000 0.000 0.000  0.00
Os1 0.500 0.500 0.500  2.10
Pd1 0.250 0.250 0.250  0.34
Pd2 0.750 0.750 0.750  0.34

DFT total energy in eV/atom: -4.64
Relative energy among the computed polymorphs in eV/atom: 0.076
D(E_F) in states/eV/atom: 0.96

9.
********

Filter the block earlier on: keep the lines with the word "not".

Computed, not measured: crystalline KOsPd3 at its relaxed geometry at the PBE-GGA level of DFT.
Computed, not measured: crystalline KOsPd3 at its relaxed geometry at the PBE-GGA level of DFT.
Computed, not measured: crystalline K2OsPd at its relaxed geometry at the PBE-GGA level of DFT.
Computed, not measured: crystalline KOs3Pd at its relaxed geometry at the PBE-GGA level of DFT.
Computed, not measured: crystalline K2Os2Pd at its relaxed geometry at the PBE-GGA level of DFT.
Computed, not measured: crystalline KOs3Pd at its relaxed geometry at the PBE-GGA level of DFT.
Computed, not measured: crystalline KOsPd2 at its relaxed geometry at the PBE-GGA level of DFT.
Computed, not measured: crystalline KOsPd2 at its relaxed geometry at the PBE-GGA level of DFT.